The Charter of the World Academy of Arts and Culture



1. The World Academy of Arts and Culture shall be an institution with the purpose to fulfill world brotherhood and peace through poetry.


2. The Academy shall be established with a Board of Trustees of not more than eight members.


3. The Academy may award deserving poets and women and men of letters literary distinctions, honors and citations, including laureateships and honorary degrees.


4. The Academy shall have a President and a vice-President to be elected by the Board of Trustees. The office of the President shall be used as the headquarters of the Academy for his term of office.


5. The Academy shall have a Secretary General and a Deputy Secretary General to be appointed by its President with the agreement of the Board of Trustees. The office of the Secretary General shall be used as the secretariat of the Academy for his term of office.


6. The Academy shall have a Treasurer and an Auditor to be appointed by its President with the agreement of the Board.


7. The Academy shall establish a foundation, with its funds to be raised by the Board. Regulations governing the foundation and its administration shall be formulated separately.


8. The Academy shall be registered by law as an incorporated non-profit institution. 




Charter of the World Congress of Poets





We, the poets of various nations of the world, have decided to mobilize and organize ourselves into a World Congress of Poets to substitute peace for war in the minds of men, by educating mankind with love of peace and of fellowmen, by means of their encounters and interchange of culture and reciprocal comprehension.


The objective of the World Congress of Poets and its official motto is “The Promotion of World Brotherhood and Peace through Poetry”.





1. The World Congress of Poets (the “Congress”) is open to all poets, editors, literary critics irrespective of nationality, race, religion or ideology.


2. To attend an Annual Conference, any person can apply to the Secretary General of the Executive Board to become an Annual Member. The Secretary General will review his or her application and decide on the approval. Once approved, the Annual Member shall pay the Annual Membership fees so that he or she can attend the Annual Conference. An Annual Member is not entitled to vote during the Annual Conference on matters submitted to the Congress.


3. To become a Life Member, a person has to apply to the Secretary General of the Executive Board. The Executive Board will review his or her application and decide through a majority vote. Once approved, the Life Member shall pay the Life Membership fees for his or her Life Membership to become effective.


4. A Life Member can attend all Annual Conferences and is entitled to vote during the Annual Conferences on matters submitted to the Congress.


5. Life Members and Annual Members can participate in all the events during the Annual Conference, including the Poetry Contest and the publication of works in the Anthology.


6. Only a Life Member can stand for election to become a member of the Executive Board.


7. Only Life Members are eligible for awards or prizes awarded or recommended by the Congress, unless otherwise decided by the Executive Board.


8. The Executive Board can decide at any time through a majority decision to remove a Life Member from the Congress. The Life Member who has been removed will forfeit his or her Life Membership fees and will not be allowed to attend any event of the Congress, unless otherwise decided by the Executive Committee.


9. Matters of the Congress can only be submitted to the Congress for vote during an Annual Conference. Only Life Members who are physically present are entitled to vote.


10. Either the Executive Board or a majority of the Life Members present during an Annual Conference can submit matters to the Congress for vote.





1. All the powers of the Congress shall vest in the Executive Board.


2. The Executive Board comprises 13 members as follows:

- a President

- a Secretary General

- Three Vice-Presidents

- Six Executive Board members (two of which can be nominated deputy Secretary General)

- a Public Relations Officer

- a Treasurer


3. Any member of the Executive Board may be removed from the Executive Board by a majority decision of the Executive Board.


4. During the tenure of the Executive Board, when a position from the Executive Board becomes vacant, the replacement will be selected by a majority decision of the Executive Board.





1. The Executive Board is elected by the Life Members of the Congress.


2. The Executive Board shall hold office for a minimum period of three years subject to re-election.


3. After the initial tenure of 3 years for the Executive Board, any member of the Executive Board can be removed by a majority vote of the Life Members of the Congress during an Annual Conference.


4. A President will be elected by the 13 members of the Executive Board and the elected President will appoint the 3 Vice-Presidents, the Secretary General, the 2 deputy Secretary General, the Public Relations Officer and the Treasurer.


5. The President shall preside over the Executive Board.


6. The President is solely authorized to sign with any third party any agreement that binds the Congress. Any such agreement has to be decided by a majority decision of the Executive Board.


7. The Secretary General shall carry out the day to day administration support to the Executive Board.


8. All the Accounts of the Congress shall be maintained by the Treasurer and the funds received by the Congress by way of subscriptions, donations, or of the like kind shall be deposited into bank accounts of the Congress. The Treasurer shall be responsible for the maintenance of true and proper accounts.


9. The bank accounts of the Congress may be operated under the signature of the Treasurer or in the absence of the said Treasurer, by the Secretary General.


10. Unless decided otherwise by the Executive Board, the Executive Board shall meet at least once a year. Meetings can be either conducted physically or virtually via electronic communications means. Executive Board members who cannot attend may ask another Executive Board member to vote on his or her behalf via a power of attorney.





1. Unless otherwise decided by the Executive Board, an itinerant Annual Conference of the World Congress of Poets shall be convened once every year.


2. During the Annual Conference, unless otherwise decided by the Executive Board, a number of awards will be given to outstanding Life Members, and on an exceptional basis to personalities outside of the Congress but who have made substantial contributions in line with the objective of the Congress.


3. Any party interested in organizing the Annual Conference shall submit its application to the Secretary General with a copy made to the President. The Executive Board shall consider such applications and grant the necessary permission to conduct the Annual Conference. No party can convene such an Annual Conference unless explicitly permitted.


4. Any interested party shall demonstrate, inter alia, that it can ensure the organization of a safe international Annual Conference of high quality.


5. Unless otherwise decided by the Executive Board, the interested party shall ensure the organization during the Annual Conference of a Poetry Contest open to all members of the Congress and the publication of an Anthology comprising works from the winners of the contest and members of the Congress. The Anthology will also publish the list of awards given by the Congress during the Annual Conference.





1. The Secretary General maintains minutes of the meetings of the Executive Board and signs the decisions from the Executive Board.


2. The Secretary General shall publish an annual bulletin summarizing the work and the major events of the Congress over the past year.


3. The Charter of the World Congress of Poets shall be deposited with the Secretariat. It shall be duty of the Secretary General to see to its application.


4. The official languages of the Congress are English, Chinese, Spanish and French. For simplicity, the daily work of the Executive Board shall be conducted in English and its decisions shall be drawn up in English.

### Misplaced materials data
- - -
# LiMg3
Computed XRD peak list, Cu Kα, 1.54184 Å. Input: DFT lattice parameters and positions (GGA-PBE).
Peak positions follow from Bragg's law for the DFT cell and can differ from measured ones.

Principal peaks in the range 10° ≤ 2θ ≤ 90°, by angle:
2θ = 11.92°, intensity 107, hkl 0 0 1; 2θ = 29.03°, intensity 210, hkl 1 0 1; 2θ = 35.94°, intensity 1000, hkl 1 0 2; 2θ = 37.64°, intensity 458, hkl 1 1 0; 2θ = 49.08°, intensity 87, hkl 0 0 4; 2θ = 53.29°, intensity 78, hkl 1 1 3; 2θ = 54.29°, intensity 152, hkl 2 0 0; 2θ = 63.46°, intensity 154, hkl 1 1 4; 2θ = 66.84°, intensity 300, hkl 2 1 2; 2θ = 76.19°, intensity 86, hkl 2 0 4

Structural model:
```
data_LiMg3
_symmetry_space_group_name_H-M 'P 4/m m m'
_symmetry_Int_Tables_number 123
_symmetry_space_group_name_Hall '-P 4 2'
_cell_length_a 3.379
_cell_length_b 3.379
_cell_length_c 7.425
_cell_angle_alpha 90.00
_cell_angle_beta 90.00
_cell_angle_gamma 90.00
loop_
_atom_site_label
_atom_site_type_symbol
_atom_site_fract_x
_atom_site_fract_y
_atom_site_fract_z
Li1 Li 0.000 0.000 0.000
Mg1 Mg 0.000 0.000 0.500
Mg2 Mg 0.500 0.500 0.229
```

=====

1.
The following is a computed X-ray powder pattern of Ba2In13Ir4. It was derived from a crystal structure in OQMD, relaxed with PBE, using copper Kα.

Structural model:
```
data_Ba2In13Ir4
_chemical_formula_sum 'Ba8 In52 Ir16'
_cell_length_a 4.519
_cell_length_b 29.348
_cell_length_c 13.837
_cell_angle_alpha 90.00
_cell_angle_beta 90.00
_cell_angle_gamma 90.00
_space_group_name_H-M_alt 'C m c 21'
_space_group_IT_number 36
loop_
_space_group_symop_operation_xyz
'x,y,z'
'-x,-y,z+1/2'
'-x,y,z'
'x,-y,z+1/2'
'x+1/2,y+1/2,z'
'-x+1/2,-y+1/2,z+1/2'
'-x+1/2,y+1/2,z'
'x+1/2,-y+1/2,z+1/2'
loop_
_atom_site_label
_atom_site_type_symbol
_atom_site_fract_x
_atom_site_fract_y
_atom_site_fract_z
Ba1 Ba 0.000 0.040 0.000
Ba2 Ba 0.000 0.248 0.322
In1 In 0.000 0.003 0.253
In2 In 0.000 0.115 0.499
In3 In 0.000 0.147 0.164
In4 In 0.000 0.156 0.821
In5 In 0.000 0.275 0.606
In6 In 0.000 0.285 0.016
In7 In 0.000 0.349 0.836
In8 In 0.000 0.360 0.166
In9 In 0.000 0.363 0.486
In10 In 0.000 0.428 0.678
In11 In 0.000 0.432 0.323
In12 In 0.000 0.455 0.896
In13 In 0.000 0.464 0.107
Ir1 Ir 0.000 0.082 0.692
Ir2 Ir 0.000 0.089 0.312
Ir3 Ir 0.000 0.185 0.629
Ir4 Ir 0.000 0.191 0.999
```

Main lines, most intense first (2θ = 10–90°):
two_theta	intensity
39.26	100
31.63	72
39.90	52
29.78	41
39.06	38
57.07	25
14.15	20
72.03	18
32.75	16
20.18	15

2.
The following is a computed X-ray powder pattern of Ba2In4IrPd. It was derived from a crystal structure in OQMD, relaxed with PBE, using copper Kα.

Structural model:
```
data_Ba2In4IrPd
_chemical_formula_sum 'Ba4 In8 Ir2 Pd2'
_cell_length_a 8.161
_cell_length_b 4.547
_cell_length_c 11.674
_cell_angle_alpha 90.00
_cell_angle_beta 90.00
_cell_angle_gamma 90.00
_space_group_name_H-M_alt 'A m m 2'
_space_group_IT_number 38
loop_
_space_group_symop_operation_xyz
'x,y,z'
'-x,-y,z'
'-x,y,z'
'x,-y,z'
'x,y+1/2,z+1/2'
'-x,-y+1/2,z+1/2'
'-x,y+1/2,z+1/2'
- - -


5. The Executive Board shall have the power to amend the present Charter by a majority decision.





The present Charter supersedes the previous Charter adopted in Madrid, Spain, in July, 1982, by the Sixth World Congress of Poets.




Cooperation Agreement between the World Congress of Poets and the World Academy of Arts and Culture





1. The World Academy of Arts and Culture (the “Academy”) was previously an affiliated institution of the World Congress of Poets (the “Congress”). In order to allow the Academy to have enhanced means to better fulfill its goals, it has been decided to make the Academy a separate institution, fully independent from the Congress.


2. So as to maintain the good working relationships between the Congress and the Academy, both parties have decided to put in place this Cooperation Agreement (the “Agreement”).


3. For this Agreement, the Congress is represented by its President and the Academy of by its President. Both Presidents are fully authorized by their respective institutions to enter this agreement.





1. The Academy will elect its Board of Trustees.


2. In order to maintain close working relationships with the Congress, members of the Board of Trustees of the Academy can also be elected among the Executive Board members of the Congress.





1. In conjunction with the Annual Conference of the Congress, the Academy will award a number of literary awards to candidates recommended by the Congress.


2. The candidates for these awards, including laureateships and honorary degrees as well as prizes in cash, shall be recommended to the President of the Academy by the Secretary General of the Congress on behalf of its Executive Board.


3. The candidates shall be requested to present at least two copies of their published books, together with biographical data for review by the Executive Board of the Congress.


4. The President of the Academy will approve the candidates and the corresponding awards as recommended by the Congress. 


5. The successful candidates shall be officially announced by the President of the World Congress of Poets. The announcement shall be made during the Annual Conference of the World Congress of Poets and an award ceremony shall be held.


6. The diplomas of the awards shall carry the signatures of the President of the World Academy of Arts and Culture, and of the President, first vice-President and Secretary General of the World Congress of Poets.





1. This agreement will be valid for an indefinite period of time. 


2. Any of the two parties can decide to terminate this agreement by giving the other party a written notice 6 months before the date of the termination.